Let’s talk about charity. An especially important topic, of course, as we are on the cusp of the season of giving, and just wrapped up a whole holiday dedicated to gratitude. (Yes, that’s g-r-a-t-i-t-u-d-e, not squabbling about the ethics of Black Friday or the injustices of breaking out the Christmas lights before Halloween.) Thankfulness over bread broken with ones we love, or as in this year, those in our Covid-safe bubble.
What exactly does charity mean to you, and what impact does it have on your community? How in-touch are you with the “supply chain” of charity, so to speak, when you are giving and donating? I challenge you to be charitable of course, but perhaps through a new lens and with new tactics.
(Attached: crystal structures)
____________
An optimized crystal structure of Cs2B12HF12. Source: the Materials Project database, functional PBE.

- Total moment: 4.02 Bohr magnetons per cell

```
data_Cs2B12HF12
_chemical_formula_sum 'Cs8 B48 H4 F48'
_cell_length_a 9.993
_cell_length_b 10.538
_cell_length_c 15.394
_cell_angle_alpha 90.00
_cell_angle_beta 90.00
_cell_angle_gamma 90.00
_symmetry_space_group_name_H-M 'P 21 21 21'
_symmetry_Int_Tables_number 19
loop_
_symmetry_equiv_pos_as_xyz
'x,y,z'
'-x+1/2,-y,z+1/2'
'x+1/2,-y+1/2,-z'
'-x,y+1/2,-z+1/2'
loop_
_atom_site_label
_atom_site_type_symbol
_atom_site_fract_x
_atom_site_fract_y
_atom_site_fract_z
Cs1 Cs 0.043 0.005 0.115
Cs2 Cs 0.082 0.187 0.789
B1 B 0.002 0.426 0.128
B2 B 0.007 0.596 0.126
B3 B 0.027 0.370 0.020
B4 B 0.034 0.646 0.016
B5 B 0.044 0.506 0.951
B6 B 0.072 0.011 0.461
B7 B 0.152 0.508 0.160
B8 B 0.164 0.368 0.095
B9 B 0.172 0.644 0.091
B10 B 0.189 0.419 0.984
B11 B 0.195 0.588 0.982
B12 B 0.231 0.497 0.571
H1 H 0.131 0.868 0.808
F1 F 0.002 0.502 0.864
F2 F 0.010 0.261 0.517
F3 F 0.023 0.755 0.513
F4 F 0.065 0.166 0.312
F5 F 0.077 0.863 0.310
F6 F 0.093 0.503 0.586
F7 F 0.196 0.512 0.246
F8 F 0.211 0.011 0.473
F9 F 0.216 0.254 0.127
F10 F 0.229 0.757 0.123
F11 F 0.232 0.348 0.419
F12 F 0.242 0.654 0.423
```

An optimized crystal structure of Cs2B12H2OF12. Source: the Materials Project database, functional PBE.

- Total moment: 0.11 Bohr magnetons per cell

```
data_Cs2B12H2OF12
_chemical_formula_sum 'Cs8 B48 H8 O4 F48'
_cell_length_a 10.277
_cell_length_b 10.626
_cell_length_c 15.378
_cell_angle_alpha 90.00
_cell_angle_beta 90.00
_cell_angle_gamma 90.00
_symmetry_space_group_name_H-M 'P 21 21 21'
_symmetry_Int_Tables_number 19
loop_
_symmetry_equiv_pos_as_xyz
'x,y,z'
'-x+1/2,-y,z+1/2'
'x+1/2,-y+1/2,-z'
'-x,y+1/2,-z+1/2'
loop_
_atom_site_label
_atom_site_type_symbol
_atom_site_fract_x
_atom_site_fract_y
_atom_site_fract_z
Cs1 Cs 0.039 0.001 0.112
Cs2 Cs 0.110 0.161 0.805
B1 B 0.003 0.426 0.126
B2 B 0.008 0.594 0.124
B3 B 0.029 0.371 0.017
B4 B 0.037 0.645 0.015
B5 B 0.049 0.507 0.948
B6 B 0.067 0.011 0.464
B7 B 0.148 0.506 0.161
B8 B 0.160 0.368 0.094
B9 B 0.169 0.642 0.092
B10 B 0.189 0.420 0.984
B11 B 0.194 0.588 0.983
B12 B 0.237 0.498 0.573
H1 H 0.091 0.834 0.836
H2 H 0.238 0.839 0.816
O1 O 0.154 0.875 0.798
F1 F 0.005 0.259 0.520
F2 F 0.011 0.508 0.861
F3 F 0.019 0.757 0.514
F4 F 0.064 0.163 0.315
F5 F 0.077 0.864 0.314
F6 F 0.102 0.502 0.588
F7 F 0.186 0.510 0.248
F8 F 0.201 0.011 0.477
F9 F 0.207 0.253 0.124
F10 F 0.223 0.753 0.125
F11 F 0.232 0.347 0.422
F12 F 0.240 0.653 0.425
```

no.,ΔE_f (eV/f.u.),density (g/cm³)
1,-52.13,2.56
2,-58.11,2.54


Material: CaMg6Al
Method: DFT, PBE
State: relaxed

Calculated values
As for the energy above the most stable polymorph in this dataset: 0 kJ/mol of formula units.

Cell lengths 5.161, 6.446, 11.527 Å; angles 90.00, 90.00, 90.00 degrees
____________
Cultivating Respect starts in our own hearts, in our own homes, with an examination of our intentions. The concept of charity can easily become a self-righteous one. Lord have mercy, if I had a dollar for every social media post or local TV news story I’ve seen touting various and sundry acts of charity that are nothing more than thinly-veiled PR campaigns. I’ll be honest and say that it smacks me as disingenuous and frankly disheartening. What’s truly behind that photo opp? I pray it’s a hefty dose of good intentions wrapped up in practical, useful, wanted and necessary charity. Those on the receiving end should feel respected, knowing the charity was based in kindness and compassion, and nothing along the spectrum of self-promotion. If you must be public, aim to inspire. Because I guarantee you, not everyone is buying the façade.
I’ve worked with several non-profits over the course of my career, from burgeoning home-based, just got their IRS status organizations, to multi-million dollar charities throwing mega fundraising galas attracting big names. Philanthropy at all levels is a critical source of desperately needed revenue, don’t get me wrong. But I’ve seen my fair share of diamond-encrusted socialites buying a table at a gala to see and be seen… and plenty of charities who spend more on over-the-top administrative costs and less on research and services than most donors could stomach. Bleh. Before you write that check and claim your tax write-off, take a moment to look up a charity’s annual report and make sure you’re comfortable with their margins. And if they don’t publish their annual report, well, I’ll let you be the judge of that. (Shaking head no from stage left…)
Want to show respect for the least of these? Start with examining your own giving. If you’re participating in charity for an Instagram-worthy, filtered, pristine photo, stop right there. I challenge you to donate and give without telling anyone. Not even Facebook.
If you’re giving away all the cruddy stuff from your pantry to a food drive that you’ll never eat (think pickled beats and lima beans…), just bring that to a screeching halt and instead BUY items that are needed. Food banks usually publish lists of their most needed and typically most densely nutritious food for families in need. And I’m pretty sure that 5-year-old gift basket hot pepper jelly isn’t on the list.
But does going through closets and drawers, and donating it to the Goodwill or a shelter count? That’s a hard no. Sorry folks, but SO much of our discards don’t even make it into the hands of the less fortunate (in our own country at least) because the standards for resale or redistribution tend to weed out a lot of unusable or inappropriate items. You should still do it, but just get your reasoning’s straight. (Side note for pageant girls: Cleaning out your stuff is just that, housekeeping. It doesn’t count as an appearance. Sorry to rain on your parade, but I challenge you to seriously up your game here!)
-- Next to the entry, the page also holds records of crystals --
~~~
No. 1
# MgTe4Mo4Se2S2 (GGA-PBE, optimized geometry)
# **Calculated formation energy**: -450 meV per atom
# **E**: -5.974 eV per atom
data_MgTe4Mo4Se2S2
_cell_length_a 3.389
_cell_length_b 3.389
_cell_length_c 38.676
_cell_angle_alpha 90.00
_cell_angle_beta 90.00
_cell_angle_gamma 60.00
_space_group_name_H-M_alt 'P 1'
_space_group_IT_number 1
loop_
_space_group_symop_operation_xyz
'x,y,z'
loop_
_atom_site_label
_atom_site_type_symbol
_atom_site_fract_x
_atom_site_fract_y
_atom_site_fract_z
Mg1 Mg 0.000 0.000 0.000
Te1 Te 0.046 0.005 0.176
Te2 Te 0.046 0.005 0.273
Te3 Te 0.713 0.672 0.364
Te4 Te 0.713 0.672 0.461
Mo1 Mo 0.046 0.005 0.412
Mo2 Mo 0.047 0.005 0.788
Mo3 Mo 0.713 0.672 0.224
Mo4 Mo 0.713 0.672 0.600
Se1 Se 0.713 0.672 0.745
Se2 Se 0.713 0.672 0.831
S1 S 0.046 0.005 0.561
S2 S 0.046 0.005 0.639

---

No. 2
# MgTe2Mo3WSe4S2 (GGA-PBE, optimized geometry)
# **Calculated formation energy**: -552 meV per atom
# **E**: -6.293 eV per atom
data_MgTe2Mo3WSe4S2
_cell_length_a 3.3382
_cell_length_b 3.3382
_cell_length_c 45.8560
_cell_angle_alpha 90.00
_cell_angle_beta 90.00
_cell_angle_gamma 120.00
_space_group_name_H-M_alt 'P 3 m 1'
_space_group_IT_number 156
loop_
_space_group_symop_operation_xyz
'x,y,z'
'-y,x-y,z'
'-x+y,-x,z'
'-y,-x,z'
'-x+y,y,z'
'x,x-y,z'
loop_
_atom_site_label
_atom_site_type_symbol
_atom_site_fract_x
_atom_site_fract_y
_atom_site_fract_z
Mg1 Mg 0.0000 0.0000 0.0000
Te1 Te 0.3333 0.6667 0.4318
Te2 Te 0.3333 0.6667 0.5147
Mo1 Mo 0.3333 0.6667 0.2852
Mo2 Mo 0.3333 0.6667 0.9024
Mo3 Mo 0.6667 0.3333 0.4733
W1 W 0.6667 0.3333 0.1057
Se1 Se 0.3333 0.6667 0.0689
Se2 Se 0.3333 0.6667 0.1423
Se3 Se 0.6667 0.3333 0.8661
Se4 Se 0.6667 0.3333 0.9393
S1 S 0.6667 0.3333 0.2521
S2 S 0.6667 0.3333 0.3183

---

No. 3
# MgTe4Mo3WSe2S2 (GGA-PBE, optimized geometry)
# **Calculated formation energy**: -432 meV per atom
# **E**: -6.118 eV per atom
data_MgTe4Mo3WSe2S2
_cell_length_a 3.4028
_cell_length_b 3.4028
_cell_length_c 45.1933
_cell_angle_alpha 90.00
_cell_angle_beta 90.00
_cell_angle_gamma 120.00
_space_group_name_H-M_alt 'P 3 m 1'
_space_group_IT_number 156
loop_
_space_group_symop_operation_xyz
'x,y,z'
'-y,x-y,z'
'-x+y,-x,z'
'-y,-x,z'
'-x+y,y,z'
'x,x-y,z'
loop_
_atom_site_label
_atom_site_type_symbol
_atom_site_fract_x
_atom_site_fract_y
_atom_site_fract_z
Mg1 Mg 0.0000 0.0000 0.0000
Te1 Te 0.3333 0.6667 0.4166
Te2 Te 0.3333 0.6667 0.5000
Te3 Te 0.6667 0.3333 0.8467
Te4 Te 0.6667 0.3333 0.9297
Mo1 Mo 0.3333 0.6667 0.2703
Mo2 Mo 0.3333 0.6667 0.8880
Mo3 Mo 0.6667 0.3333 0.0893
W1 W 0.6667 0.3333 0.4583
Se1 Se 0.6667 0.3333 0.2339
Se2 Se 0.6667 0.3333 0.3068
S1 S 0.3333 0.6667 0.0557
S2 S 0.3333 0.6667 0.1221

---

No. 4
# MgTe2Mo3WSe4S2 (GGA-PBE, optimized geometry)
# **Calculated formation energy**: -514 meV per atom
# **E**: -6.255 eV per atom
data_MgTe2Mo3WSe4S2
_cell_length_a 5.780
_cell_length_b 3.337
_cell_length_c 38.121
_cell_angle_alpha 90.00
_cell_angle_beta 90.00
_cell_angle_gamma 90.00
_space_group_name_H-M_alt 'C 1 m 1'
~~~
Please, dear Lord, please, don’t think that just because someone is down on their luck they should be grateful to get your tired castoffs or dollar store socks. Those of us comfortable in our glass houses should take a moment to do a thought experiment to visualize the supply chain of charity. Unsure of who the least of these actually is in your community? Look to a reputable organization like Catholic Charities or another non-profit that is the actual boots on the actual ground, vetting those in need and working with social service agencies and reaching out to generous community volunteers just like you. When we better know the root causes of poverty and suffering in our own communities, we can be markedly more productive with our charity and good intentions. People desperately in need, even more so because of the pandemic and economic crisis, are increasingly our neighbors and loved ones. Start with visualizing them and what it would mean to meet their emergent needs.
Yes, there is a glimmer of cheer at the end of this snarky rainbow. All I’m asking here is that you do the best you can, to the best of your abilities and your means, with the best of intentions. The holiday season is a time of joy, and compassion, and love, and forgiveness, and understanding, and wonder. It is such a gift that this season’s holidays have a component of charity and kindness, and what an opportunity to not only help others but broaden our own perspectives and increase our impact. YOU have a heart of gold, so make sure you are wielding it with truth, rooted in respect for yourself and others.
Someone pasted materials data at this point:
The following is a DFT calculation (PBE-GGA) of a geometry-optimized Mg14SiC structure.

Cell: 6.206 6.206 9.826 Å, 90.00 90.00 120.00°
Sites, in units of the cell vectors:
Mg1 0.666 0.331 0.125
Mg2 0.669 0.831 0.625
Mg3 0.327 0.173 0.863
Mg4 0.169 0.834 0.125
Mg5 0.327 0.654 0.863
Mg6 0.833 0.667 0.376
Mg7 0.327 0.173 0.387
Mg8 0.846 0.173 0.863
Mg9 0.669 0.338 0.625
Mg10 0.833 0.667 0.874
Mg11 0.327 0.654 0.387
Mg12 0.162 0.831 0.625
Mg13 0.666 0.834 0.125
Mg14 0.846 0.173 0.387
C1 0.167 0.333 0.625
Si1 0.167 0.333 0.125

Results
SG: P-6m2, No. 187
formation energy: 0.294 eV/atom



The following is a DFT calculation (PBE-GGA) of a geometry-optimized Mg14SiC structure.

Cell: 6.375 7.790 8.474 Å, 90.00 90.00 127.66°
Sites, in units of the cell vectors:
Mg1 0.690 0.595 0.920
Mg2 0.690 0.595 0.330
Mg3 0.278 0.389 0.625
Mg4 0.252 0.687 0.941
Mg5 0.321 0.911 0.625
Mg6 0.786 0.367 0.125
Mg7 0.252 0.687 0.309
Mg8 0.807 0.153 0.851
Mg9 0.802 0.859 0.625
Mg10 0.807 0.153 0.399
Mg11 0.786 0.919 0.125
Mg12 0.802 0.443 0.625
Mg13 0.252 0.065 0.309
Mg14 0.252 0.065 0.941
Si1 0.221 0.361 0.125
C1 0.001 0.751 0.125

Results
SG: Amm2, No. 38
formation energy: 0.159 eV/atom



The following is a DFT calculation (PBE-GGA) of a geometry-optimized Sm6Mg23C structure.

Cell: 10.100 10.100 10.100 Å, 60.00 60.00 60.00°
Sites, in units of the cell vectors:
Mg1 0.830 0.830 0.510
Mg2 0.500 0.000 0.000
Mg3 0.830 0.510 0.830
Mg4 0.170 0.170 0.490
Mg5 0.000 0.500 0.500
Mg6 0.490 0.170 0.170
Mg7 0.380 0.380 0.380
Mg8 0.170 0.490 0.170
Mg9 0.620 0.620 0.620
Mg10 0.620 0.139 0.620
Mg11 0.139 0.620 0.620
Mg12 0.620 0.620 0.139
Mg13 0.500 0.000 0.500
Mg14 0.830 0.830 0.830
Mg15 0.510 0.830 0.830
Mg16 0.170 0.170 0.170
Mg17 0.380 0.380 0.861
Mg18 0.861 0.380 0.380
Mg19 0.000 0.000 0.500
Mg20 0.000 0.500 0.000
Mg21 0.500 0.500 0.000
Mg22 0.380 0.861 0.380
Mg23 0.500 0.500 0.500
C1 0.000 0.000 0.000
Sm1 0.183 0.817 0.183
Sm2 0.817 0.183 0.817
Sm3 0.183 0.183 0.817
Sm4 0.817 0.183 0.183
Sm5 0.817 0.817 0.183
Sm6 0.183 0.817 0.817

Results
SG: Fm-3m, No. 225
formation energy: -0.092 eV/atom



> formation energy of number 1 (Mg14SiC)?

0.294 eV/atom



> Which formula does entry 2 have?

Mg14SiC



> Which of these has the lowest formation energy?

Sm6Mg23C

----------

(1)
First-principles (GGA-PBE) data for a relaxed Na6La2Nb6Si9S3O48 crystal, as listed in Materials Project.

## Properties
ΔE_f ... -212.00 eV per formula unit
Density ... 3.1 g cm⁻³
Spin magnetization ... 0.00 μB/atom
Space group ... P1

Cell: 18.193 9.154 23.110 Å, 90.12 89.76 120.14°
Sites, in units of the cell vectors:
O: 0.595 0.489 0.253
S: 0.333 0.024 0.082
O: 0.009 0.824 0.411
O: 0.256 0.870 0.361
O: 0.488 0.164 0.585
La: 0.001 0.001 0.862
O: 0.418 0.316 0.528
O: 0.251 0.846 0.467
Na: 0.844 0.359 0.338
O: 0.075 0.481 0.570
O: 0.089 0.005 0.308
O: 0.156 0.479 0.469
O: 0.904 0.968 0.694
La: 0.500 0.002 0.362
O: 0.566 0.636 0.356
O: 0.736 0.337 0.753
O: 0.181 0.500 0.358
O: 0.082 0.506 0.968
Back to the page:
Darcy Castro is a speaker, content creator and advocate for children of parents with a brain tumor. She is the founder and leader of Darcy Castro Productions LLC, the Empowerment Academy and the Kindred Heart Foundation.Cultivating Respect with Darcy Castrois an initiative focused on practical ways to create respectful environments in our own little pockets of the world. The articles, podcasts and videos feature honest, thought-provoking ideas that aim to inspire and foster positive, respectful communities. Follow Cultivating Respect at DarcyCastro.com.